PUB: Call For Papers: Black Camera Invites Submissions For Special Issue On Afrosurrealism In Film/Video > Shadow and Act

Call For Papers:

Unrelated to this piece: data records:
(1)
This record from OMol25 describes an isolated molecule of C8H13N. The level of theory is ωB97M-V/def2-TZVPD.

The highest occupied orbital energy comes out at -6.50 eV.

```
! wB97M-V def2-TZVPD RIJCOSX def2/J DEFGRID3
* xyz 0 1
C -0.936 2.033 -0.012
C -0.172 0.697 -0.011
C -0.678 -0.181 1.261
C -1.625 -1.166 0.686
C 2.092 -1.272 0.004
C 1.235 0.973 -0.037
C -1.677 -1.165 -0.642
C -0.712 -0.204 -1.275
H -0.733 2.630 0.888
H -0.647 2.667 -0.824
H -2.008 1.927 -0.062
H 0.184 -0.602 1.746
H -1.118 0.434 2.041
H -2.180 -1.839 1.336
H 1.148 -1.859 -0.031
H 3.039 -1.859 -0.007
H 1.611 1.950 0.230
H 3.149 0.438 -0.062
H -2.223 -1.891 -1.242
H -1.168 0.392 -2.084
H 0.189 -0.651 -1.745
N 2.227 -0.004 -0.004
*
```



(2)
This record from OMol25 describes the ion C8H13N2 with charge +1. The level of theory is ωB97M-V/def2-TZVPD.

As for the SMILES: C=[N+](C)/C=C/C=C\C=C\N. The highest occupied orbital energy (spin up / spin down) comes out at -11.39 / -11.39 eV.

```
! wB97M-V def2-TZVPD RIJCOSX def2/J DEFGRID3
* xyz 1 1
C -1.151 -1.724 -2.016
N -0.497 -1.650 -0.851
C -0.079 -2.897 -0.088
C 0.037 -0.529 -0.418
C 0.422 0.459 -1.281
C 0.508 1.854 -1.203
C 0.157 2.733 -0.207
C -0.047 2.292 1.127
C 0.596 1.208 1.565
N 0.348 0.704 2.786
H -1.746 -1.004 -2.446
H -1.443 -2.753 -2.264
H -0.700 -3.830 -0.428
H 0.993 -2.865 -0.283
H -0.294 -2.530 0.942
H 0.223 -0.511 0.652
H 0.476 0.053 -2.292
H 0.958 2.362 -1.999
H -0.142 3.623 -0.650
H -0.649 2.959 1.773
H 1.489 0.694 1.060
H -0.525 1.104 3.191
H 1.067 0.248 3.331
*
```



(3)
This record from OMol25 describes the ion C8H13N2O with charge +1. The level of theory is ωB97M-V/def2-TZVPD.

As for the SMILES: N[C@@H]1C=C[C@H](CC=[NH2+])C=C1O. The highest occupied orbital energy comes out at -13.04 eV.

```
! wB97M-V def2-TZVPD RIJCOSX def2/J DEFGRID3
* xyz 1 1
N 1.834 -0.951 -1.149
C 1.451 -0.839 0.326
C 0.262 -1.692 0.771
C -0.928 -1.219 1.110
C -1.320 0.243 0.982
C -2.218 0.530 -0.273
C -1.341 0.237 -1.395
N -0.161 0.840 -1.559
C -0.095 1.137 1.076
C 1.095 0.736 0.533
O 2.268 1.420 0.367
H 2.731 -0.496 -1.271
H 1.925 -1.862 -1.550
H 2.253 -1.095 1.094
H 0.454 -2.721 0.875
H -1.725 -1.875 1.299
H -2.075 0.475 1.810
H -3.014 -0.151 -0.357
H -2.586 1.520 -0.253
H -1.531 -0.742 -1.839
H 0.706 0.281 -1.586
H -0.061 1.810 -1.207
H -0.176 2.185 1.329
H 2.252 2.229 0.867
*
```



Computed largest force on an atom (eV/Å) in order:
5.01 5.08 3.77
Computed ΔE to the lowest compared entry with this formula, charge and spin (kJ/mol) in order:
280.6 469.6 246.7
Computed energy (eV) in order:
-9993.9333 -11476.6205 -13525.6078

Black Camera Invites Submissions

For Special Issue On

Afrosurrealism In Film/Video

News by Tambay | June 18, 2012

I had a wonderful conversation on this (and several other cinema-related topics) with Ms Terri Francis, the guest editor of this specific special issue of Black Camera (an academic film journal I strongly encourage you all to subscribe to HERE) - a conversation I wish was recorded so that I could share here.

Alas, it wasn't; but you can become a part of that conversation by considering this call for papers; no deadline date specified... yet. But if you're interested, do something.

The special issue on Afrosurrealism in film/video will be published in the fall of 2013.

In the conceptual space offered by Amiri Baraka's notion of Afrosurreal expressionism, this special issue of Black Camera invites contributions that explore the experimental, absurd, and whimsical dimensions of black filmmaking. We seek to uncover avant-garde, experimental, or noncommercial motion pictures, artists, and publics throughout the African diaspora, particularly the Caribbean and Afro-Latin America. In no way prescriptive, this issue serves as a platform to redefine [question, explore] the genres of black film and of experimental film through comparing and situating them in the larger frame of surrealism's other forms in music, literature, art, and theater as expressed in African diaspora cinemas.

While Afrosurrealist works may signify on magical or hallucinatory levels, their sense of heightened reality often arcs toward current or familiar political, cultural, and ethnic contexts and references. Experimental film/video refers to work that reflects the expansive use of surrealistic principles such as abstraction, animation, parody, symbolism, incongruous juxtapositions, disinterested play of thought, and/or direct manipulation of the film image, particularly by handcrafted or artisan techniques such as painting or scratching on the film. These films may seek to explore aspects of the unconscious, or they may approach reality through the lens of the fantastic through editing, unconventional use of sound, appropriation of found footage, or the use of film stock that is out of date, tinted, baked, or processed by unconventional means. Simultaneously, in Afrosurrealist film, the conventional opposition between the real and the imagined is displaced.

The editor is interested in essays that unpack the historical development, material conditions, or artistic/political claims or sensibilities of black experimental cinemas, possibly drawing upon interdisciplinary methods that reference music, dance, painting, photography, and theater or collaborations between filmmakers and artists who work in such fields.

Topics include: artifice, black arts movement, site of memory, LA Rebellion, the sublime, jazz and film, film clubs, shadow and act, settlement/Call for Papers 7 displacement/migration, the 1940s avant-garde movement, sound, anthropology, diary films, implied revelation, dreams, contemporary art, the body, rupture, the archive, surrealism, Black Film Audio Collective, race and representation, modernism, Afrosurreal expressionism, visual pleasure, the Harlem renaissance, editing, painting, cinematography, folklore, the unconscious, dance, physical properties of film, collage, race films, alien familiar, Afromodernism, myth, theatricality, beauty, the black interior, photography and film, abstraction, documentary, handicraft or obscure techniques for processing film, conceptual art, amateur films, quilts, literary precursors or corollaries, the marvelous, negritude, the erotic, found footage, expressionism, liberation, ambiguity, non/theatrical exhibition, "blackness as metaphor," funding sources, politics and aesthetics, and technology.

Essays, book and film reviews, interviews, and commentaries will be accepted. Essays should be 6,000–10,000 words. Interviews (6,000 words), commentaries (1,000–2,000 words), and book and film reviews (500–1,500 words) should also pertain to the theme of the journal issue. The editor welcomes work from a variety of disciplines and from a broad range of theoretical and political perspectives.

Please submit completed essays, a 100-word abstract, a fifty-word biography, and a CV. Submissions should conform to The Chicago Manual of Style, 15th edition. Please see journal guidelines below for more on submission policy.

Direct all questions and correspondence to guest editor Terri Francis (